What did you do to your Rocket today?

There's lots of Rocket Action going on here - passing the MOT is always a smile for me, so congrats on that Stavros. Ragging, commuting, flagellating, just simple riding, polishing or looking at. Is there anybody here who doesn't love their Rocket?

Where in Yorkshire are you TattooMick? Family Browne have just been on a week's holiday at Pocklington, near to York - had a great result with the weather and all very relaxing - we love Yorkshire and it's one of the places on my "to retire to" list in the next few years. It's a bit like France though (another one of my retirement options) - lovely place, but the locals! (joke!)

Babagris - I absolutely will take some pics or a video of the lift process, I have to perfect the only tricky bit of the process - the placement of the rear engine bracket. There are two bolts which go through the holes in the frame where you'd expect a mainstand to bolt through. Placing the lift is a bit fiddly for me at the moment, probably because I've only done it twice so far and I'm not using a wheel stand to get the bike dead upright. After that it's a simple case of growing a pair and hitting the trigger on the drill.

Having said that, the lift started to pay for itself yesterday - it's a bit of a long story, but I was concerned about the footboard rubbing against the main column when I first assembled the lift, so I adjusted the placement of the rear bracket to move the bike out by an inch or so. Yesterday I spoke with David at Quasar to ask a couple of questions, including one about my adjustment - he confirmed my suspicions that the bracket really shouldn't be moved and the main lifting arm needed to be in line with an imaginary line between the centre of the wheels.

I adjusted the bracket and lifted the bike again to check. Whilst I was underneath the bike, I span the wheels to check the brakes weren't binding and noticed a shiny metal spot on the rear tyre. You all know that feeling when you see something sticking out of the tyre? I loosened it with a screwdriver and pulled it out with pliers. It was the remains of a nail which was long enough to eventually penetrate the tyre and, at best, cause the inconvenience of a puncture, at worst a rapid deflation whilst riding at motorway speeds. Given the location of the nail, it would probably be a new tyre whatever the speed of travel during deflation.

Time wasted, money spent and possibly a far worse result - all avoided. Thank you Big Blue!
Richard Browne I'm in a place called liversedge in the middle of Leeds and Bradford , pocklington is a much nicer place than here ha ha . But I am only 30mins ride away from stunning roads in any direction I go so that is a plus, my wife's dad moved to France 4 years ago and loves it he owns a huge lake and runs his fishing business, we go over often to visit and it's bliss the roads are amazing and you hardly see a car or bike, he is in a place called chalus in the limousin region. And must say the locals are much nicer than the Yorkshire locals ha ha . Well especially if you have me as a local. Ha. Plus one on Stavros with passing the mot well-done pal.
I feel for you with the nail in the tyre but at least you noticed it before it caught you out. What part of the UK is you Richard. Regards Mick .
What is the make and price of that lift , I can't understand how I have survived this long without one ? I keep getting to my bat cave, get my head around what needs to be done and then the phone rings . Life is conspiring against my rocket time . Hats off to all you who have managed to balance work , wimmin and garage time . How do you do it ? I can't seem to find enough hours in the day , could do with some elves !

Tell me it is not this place!

Lac Cimes Exclusive Carp Fishing Lake In France

Carp are considered vermin here in OZ. Besides they must be the most boring catch of all. Just drag the slugs in.

What comes next are data records, not part of the page =
/*
Simulated powder diffractogram of Ce6Si3S14 for copper Kα, from the PBE geometry in Alexandria.

Largest 10 diffraction maxima, sorted by position, 2θ from 10° to 80°:
two_theta  Rel. int.
18.37  29
20.08  35
23.27  45
25.39  100
26.67  31
35.15  30
36.63  52
37.24  34
39.94  52
41.36  38

Crystal structure
abc: 10.213 10.213 5.764
angles: 90.00 90.00 120.00
Fractional positions:
Ce (0.013, 0.559, 0.000)
Ce (0.301, 0.094, 0.482)
Ce (0.441, 0.455, 0.000)
Ce (0.545, 0.987, 0.000)
Ce (0.793, 0.699, 0.482)
Ce (0.906, 0.207, 0.482)
Si (0.000, 0.000, 0.896)
Si (0.333, 0.667, 0.415)
Si (0.667, 0.333, 0.713)
S (0.000, 0.000, 0.264)
S (0.074, 0.853, 0.755)
S (0.147, 0.221, 0.755)
S (0.193, 0.446, 0.268)
S (0.254, 0.807, 0.268)
S (0.333, 0.667, 0.780)
S (0.397, 0.156, 0.009)
S (0.515, 0.415, 0.515)
S (0.554, 0.746, 0.268)
S (0.585, 0.099, 0.515)
S (0.759, 0.603, 0.009)
S (0.779, 0.926, 0.755)
S (0.844, 0.241, 0.009)
S (0.901, 0.485, 0.515)


Simulated powder diffractogram of HfGa2Pd9 for copper Kα, from the PBE geometry in Alexandria.

Largest 10 diffraction maxima, sorted by position, 2θ from 10° to 80°:
two_theta  Rel. int.
15.08  2
23.63  2
27.09  2
32.77  1
35.41  1
39.46  100
45.66  33
46.35  16
66.55  10
67.10  20

Crystal structure
abc: 3.974 3.974 11.753
angles: 90.00 90.00 90.00
Fractional positions:
Hf (0.000, 0.000, 0.000)
Ga (0.000, 0.000, 0.340)
Ga (0.000, 0.000, 0.660)
Pd (0.000, 0.500, 0.170)
Pd (0.000, 0.500, 0.500)
Pd (0.000, 0.500, 0.830)
Pd (0.500, 0.000, 0.170)
Pd (0.500, 0.000, 0.500)
Pd (0.500, 0.000, 0.830)
Pd (0.500, 0.500, 0.000)
Pd (0.500, 0.500, 0.335)
Pd (0.500, 0.500, 0.665)


Simulated powder diffractogram of Dy3Tm2Cd2 for copper Kα, from the PBE geometry in Alexandria.

Largest 10 diffraction maxima, sorted by position, 2θ from 10° to 80°:
two_theta  Rel. int.
26.95  9
32.81  94
33.57  100
47.65  33
58.11  20
59.55  34
60.03  19
68.79  8
70.57  12
78.76  13

Crystal structure
abc: 8.472 8.472 8.472
angles: 36.73 36.73 36.73
Fractional positions:
Dy (0.000, 0.000, 0.000)
Dy (0.157, 0.157, 0.157)
Dy (0.843, 0.843, 0.843)
Tm (0.426, 0.426, 0.426)
Tm (0.574, 0.574, 0.574)
Cd (0.289, 0.289, 0.289)
Cd (0.711, 0.711, 0.711)


What is the formula in the first record? Ce6Si3S14

----------

No. 1
Starting from a DFT-relaxed cell (GGA+U, the Materials Project), the XRD peak list of Li8Fe3Ni7O20 was simulated for Cu Kα X-rays.
Neutral-atom scattering factors, no anomalous dispersion.

Cell and atoms:
Cell lengths 5.1726, 2.8796, 23.8679 Å; angles 90.00, 93.55, 90.00 degrees
Fractional positions:
Li  0.0000  0.0000  0.0000
Li  0.0000  0.5000  0.5000
Li  0.1972  0.0000  0.6012
Li  0.3822  0.0000  0.1914
Li  0.3987  0.5000  0.7000
Li  0.6013  0.5000  0.3000
Li  0.6178  0.0000  0.8086
Li  0.8028  0.0000  0.3988
Fe  0.3066  0.5000  0.3971
Fe  0.5000  0.0000  0.5000
Fe  0.6934  0.5000  0.6029
Ni  0.0978  0.0000  0.2979
Ni  0.1074  0.5000  0.8008
Ni  0.3018  0.0000  0.9014
Ni  0.5000  0.5000  0.0000
Ni  0.6982  0.0000  0.0986
*/

Australia has obtained and is planning to release a virus to wipe them out in their millions.
The biggest problem they are trying to work out is what to do with the literally 100,000 tonnes plus in many multiple locations that will die and pollute the water ways.
Ishrub no that is not the place, well I'm no fisher man pal don't know the first thing about it all. I just like eating fish ha ha .
Ishrub no that is not the place, well I'm no fisher man pal don't know the first thing about it all. I just like eating fish ha ha .

Do not eat carp unless you are in a famine!
Some strange Europeans and Asians may disagree but they got accustomed to eat mud tasting rank bony stuff during famines.

Caught commercially here and ground up as as fertilizer.